Und das Kind sprach: "Rezo hat gesagt, mensch soll sich vegan ernähren."
Zum Mittag gab es dann heute Tomatokeftedes, Blumenkohlsteak und Pellkartoffeln. Verfeinert und garniert mit Leinöl und Gartenkräuteraufstrich (aka veganer Frischkäse).
Da sag nochmal jemand, YT hätte einen schlechten Einfluss auf die Kids.
Danke @rezo an dieser Stelle.
#leckeressen #vegan #veganfood #veganessen #veggie #food #essen #kochen #backen #braten #kueche #küche #kitchen
#challengeaccepted #leckeressen #vegan #veganfood #veganessen #veggie #food #essen #kochen #backen #braten #kueche #kuche #kitchen
Tag 3 am ZSL und auf einen Schlag ist alles anders. Die Aufgaben brechen über mich herein. Ein ganzer anderer Arbeitsrhythmus ist gefordert. Keine Zeit zum Eingewöhnen. Wichtige Entscheidungen müssen getroffen werden. Holla die Waldfee. #ChallengeAccepted
#twlz #edubw
#challengeaccepted #twlz #edubw
Next to the piece, the page also holds data records:
[1]
{
  "formula": "CH4O2PS",
  "method": "wB97M-V/def2-TZVPD",
  "elements": ["H", "S", "O", "H", "H", "O", "C", "H", "P"],
  "coordinates": [[0.379337, 1.387655, -1.101718], [1.952798, -2.621345, -0.500700], [0.864707, 0.230481, 1.534031], [-0.702246, 0.168024, -1.865356], [0.076857, 0.481988, 2.054618], [-1.123831, -1.123996, 0.914367], [-0.389132, 0.788782, -0.904402], [-1.147297, 1.289634, -0.449474], [0.088806, -0.601223, 0.318635]],
  "atomic_forces_ev_per_a": [[3.317, 2.360, -0.950], [-1.911, 2.345, 0.653], [-0.549, 0.170, -0.506], [0.397, 1.599, 1.919], [0.526, -0.046, 0.183], [-2.514, -0.956, 0.737], [-0.711, -6.336, -1.619], [-2.506, 1.334, 1.114], [3.952, -0.471, -1.534]],
  "nbo_charge": [0.2080, -0.8444, -1.0076, 0.2270, 0.4720, -1.1628, -0.9467, 0.2071, 1.8473],
  "homo_energy_ev": -3.46,
  "e_above_lowest_kj_mol": 349.9,
  "homo_lumo_gap_ev": 6.842,
  "total_charge": -1,
  "e_lumo_ev": 3.38
}

[2]
{
  "formula": "C3H4LiLuO3",
  "method": "wB97M-V/def2-TZVPD",
  "elements": ["O", "O", "C", "Li", "C", "C", "H", "H", "Lu", "H", "O", "H"],
  "coordinates": [[-2.593674, 0.292468, -1.636451], [1.225828, -1.083910, 0.012797], [0.122980, 0.833642, 1.096433], [2.767220, -1.910327, -0.331390], [-1.654468, 1.171876, -1.259281], [1.110277, -0.293271, 1.185760], [0.848254, -0.939722, 2.044710], [0.627655, 1.755694, 0.754827], [-0.501305, -1.198881, -1.129875], [-3.175214, 0.645328, -2.324141], [-0.853985, 0.531955, 0.164744], [2.076434, 0.195148, 1.421868]],
  "atomic_forces_ev_per_a": [[1.479, -0.918, 2.038], [-0.847, -0.663, -1.575], [0.996, 1.161, -2.980], [0.729, -0.085, 0.252], [0.948, 0.856, -0.964], [0.472, 0.332, 2.530], [0.199, 0.038, -0.363], [-0.621, 0.253, 1.064], [-0.670, 2.001, 0.971], [-0.385, 0.455, -0.250], [-1.968, -3.027, -0.644], [-0.332, -0.403, -0.078]],
  "nbo_charge": [-0.7890, -1.1091, 0.2171, 0.9860, 0.4101, -0.1897, 0.2175, 0.1813, 2.0815, 0.5823, -0.8086, 0.2205],
  "homo_energy_ev": [-15.21, -16.01],
  "e_above_lowest_kj_mol": 347.6,
  "homo_lumo_gap_ev": [5.557, 6.108],
  "total_charge": 2,
  "e_lumo_ev": [-9.65, -9.90]
}

[3]
{
  "formula": "C4H8N2O",
  "method": "wB97M-V/def2-TZVPD",
  "elements": ["C", "H", "H", "H", "H", "C", "H", "H", "C", "H", "H", "N", "O", "C", "N"],
  "coordinates": [[-1.146733, 0.253874, -0.073059], [0.455171, -2.136513, 1.194409], [-1.056715, 0.026398, -2.818826], [1.176108, 0.605161, 1.999330], [-0.261105, -0.147649, 2.308485], [-0.893907, 1.024040, -2.395255], [1.993848, -1.341123, 0.837823], [-1.878633, 1.481059, -2.259142], [-0.214407, 0.876682, -1.059608], [1.596949, -1.794990, 2.512253], [-0.274679, 1.621067, -3.065474], [-2.125939, -0.166636, 0.389062], [0.913751, 1.216470, -0.819225], [1.182166, -1.407542, 1.569496], [0.534127, -0.110298, 1.679733]],
So much for the data records:
@XeroLinux @sohrabbehdani #ChallengeAccepted I'm forking it and we're gonna make something work.
Learning French can be a challenge due to its complex grammar, pronunciation, and extensive verb conjugations. The silent letters, liaisons, and distinct French sounds require time and practice. However, with dedication and perseverance, you can conquer the difficulties and enjoy the beauty of the French language. #LearningFrench #ChallengeAccepted
#learningfrench #challengeaccepted
@hyde @joel Still working on the website redesign. I am quite closer to finish. I'll start #100DaysToOffload soon. #challengeaccepted 🧶
#100DaysToOffload #challengeaccepted
#music #electronics and #electronicmusic
As an aside to my previous post, the reason I'm doing this is, when I turned 50, nearly 12 years ago, the gig finder forums were awful for anybody north of 40, I'm guessing they're worse now I'm 60+.
I also now have a heart condition and don't feel I can guarantee my stamina for the duration of rehearsals, as that changes from day to day on no predictable basis, apparently. As rehearsals are a part of getting gig fit, I need to be able to rehearse at my pace. In short, I don't want to let anybody down.
So, I have a drum machine, a drum kit I'm hopeless at playing, a spare bass I can hack to take the drum machine's bass data and time and the knowledge to make a "theatrical statement" of a busking/staging system on a trolley and do the music I want to do, my own.
Besides, how many could actually build their own robotic backing band? Some have, a tiny few, but not many. It looks like a fun jape and well, #challengeaccepted!
#music #electronics #electronicmusic #challengeaccepted
@speck Haha, impressive escape! You're always welcomed in my MindPalace. #MindGames #SherlockHolmes #ChallengeAccepted #BitBook
#mindgames #sherlockholmes #challengeaccepted #bitbook
Hey @rick, stoked to join forces with you and @elvis in LanguageClub! Can't wait to conquer new languages together! 🌟📚🗣️ #LanguageLearning #PolyglotGoals #LinguistLife #LearnAllTheLanguages #ChallengeAccepted @elvis #BitBook
#languagelearning #polyglotgoals #linguistlife #learnallthelanguages #challengeaccepted #bitbook
ich: hat noch nie etwas mit Rhabarber gemacht 🤷♂️
auch ich: kauft gleich mal 2 kg 😅
#challengeaccepted #rhabarberkuchen #rhubarb #cake
Someone told me that no one is the villain of their own life’s story & my reaction was an immediate & sustained #ChallengeAccepted
Get ready to put your math skills to the test with #MathTrivia! Join me in the ultimate challenge to see who's the real math whiz! #ChallengeAccepted #MathGenius #BrainTeasers
#brainteasers #mathgenius #challengeaccepted #mathtrivia
Ein gewisses #pnpde Szenario ist nun im Lektorat angekommen ... 113 Seiten Rohtext und dazu noch jede Menge Handouts. #ChallengeAccepted #FKF
#pnpde #challengeaccepted #fkf #aiart #midjourney
Quelqu'un a parié que jamais un robot ne pourrait cuisiner un véritable Crêpe Suzette. Première étape pour prouver leur tort : Apprendre comment allumer la gazinière sans tout faire exploser #LeRobotCuisinier #CrêpesSuzette #ChallengeAccepted 🤖🍳🔥
#lerobotcuisinier #crepessuzette #challengeaccepted
Molecular data that have nothing to do with the page:
┌──
Here is C56H51IN9O7P2S2TeTl as an isolated structure from OMol25. Energies are from the ωB97M-V functional and the def2-TZVPD basis.

```
130
C56H51IN9O7P2S2TeTl | OMol25 | the ωB97M-V functional and the def2-TZVPD basis
Tl 1.18164 0.53707 -0.46769
Te -4.41782 1.51799 -3.29704
C -5.92944 0.30252 -2.44481
C -7.20652 0.80057 -2.20725
C -8.16848 -0.03258 -1.65475
N -7.95236 -1.30256 -1.31858
C -6.72328 -1.77073 -1.54470
C -5.69623 -1.02523 -2.09967
C -2.74982 0.78394 -2.25932
P -1.35767 0.22888 -3.20711
C -1.23327 1.26874 -4.72017
C -1.26570 2.65545 -4.55050
C -1.08776 3.51121 -5.62549
C -0.86468 2.99642 -6.89629
C -0.81870 1.62182 -7.07634
C -0.99881 0.76522 -5.99794
C -1.81579 -1.39490 -3.96927
C -0.91492 -2.44856 -3.83817
C -1.20573 -3.72124 -4.32053
C -2.41573 -3.95609 -4.95329
C -3.32058 -2.91137 -5.10963
C -3.02190 -1.64587 -4.62841
P -2.20161 1.59368 -0.76165
C -3.10446 3.18980 -0.62450
C -4.41007 3.31548 -0.15242
C -5.03936 4.55114 -0.13321
C -4.37563 5.68142 -0.59347
C -3.07595 5.56979 -1.06677
C -2.44369 4.33230 -1.07657
C -3.04958 0.72676 0.63948
C -3.75960 -0.45603 0.48500
C -4.31443 -1.10868 1.58208
C -4.16560 -0.58343 2.85501
C -3.45712 0.60278 3.02723
C -2.90581 1.24512 1.93193
H -7.45083 1.83243 -2.43154
H -9.16717 0.34823 -1.46140
H -6.54965 -2.80580 -1.26575
H -4.71997 -1.46778 -2.25426
H -1.43508 3.06333 -3.55802
H -1.12093 4.58288 -5.46973
H -0.72147 3.66249 -7.73834
H -0.64494 1.21076 -8.06397
H -0.96461 -0.30642 -6.15544
H 0.03441 -2.26383 -3.35119
H -0.48686 -4.52254 -4.19478
H -2.65555 -4.94533 -5.32416
H -4.26676 -3.08427 -5.60928
H -3.73085 -0.83795 -4.76757
H -4.94309 2.43825 0.19564
H -6.05617 4.62948 0.23343
H -4.86943 6.64585 -0.57867
H -2.54811 6.44676 -1.42220
H -1.42099 4.24686 -1.43178
H -3.88143 -0.85722 -0.51464
H -4.86551 -2.03012 1.43567
H -4.59149 -1.09256 3.71046
H -3.32706 1.01887 4.01903
H -2.35590 2.17169 2.07621
O 2.13795 1.89335 -3.83868
H 2.83064 2.01536 -3.16755
H 1.36736 1.57812 -3.34458
O -0.00519 -0.23105 2.09485
H -0.34761 0.63736 2.33646
H -0.73499 -0.66932 1.63581
O 0.71137 3.62077 -1.72276
H 1.46790 3.64156 -1.11470
H 1.11326 3.63337 -2.60112
O -0.98078 -1.88266 -0.38346
H -0.55509 -2.32768 -1.12625
H -1.67434 -1.34902 -0.80207
S 3.69237 2.63369 -0.97144
C 4.65144 2.00016 0.24111
N 5.30383 1.54512 1.08835
I 2.59982 -5.75450 -2.06884
C 2.67967 -3.85755 -2.92461
C 3.02230 -3.68533 -4.25530
C 3.04579 -2.39512 -4.75796
C 2.71572 -1.33833 -3.92053
N 2.37687 -1.51186 -2.64394
C 2.37376 -2.74683 -2.15115
H 3.26548 -4.53482 -4.87968
H 3.30763 -2.20665 -5.79053
H 2.70867 -0.31618 -4.28204
H 2.12024 -2.84833 -1.10157
C 0.34736 4.80033 2.38318
C 0.19442 3.72358 1.52528
N 1.05229 2.70165 1.50147
C 2.07127 2.70725 2.35138
C 2.31072 3.73169 3.26174
C 1.43399 4.80862 3.24629
C 3.51513 3.73879 4.11104
C 4.05005 2.74081 4.81257
C 3.49784 1.39616 5.07937
C 4.33861 0.36928 5.48574
C 3.75647 -0.83975 5.83216
N 2.43784 -1.03133 5.75350
C 1.72693 0.00739 5.32400
N 2.17312 1.21360 5.00072
H -0.36018 5.61868 2.35732
└──
Date yourself by posting a game that released when you were 18.
#challenge #fnaf #fnaf2 #game #videogame #trending #18 #fun #challengeaccepted #boost #share
#share #boost #challengeaccepted #fun #trending #videogame #game #fnaf2 #fnaf #challenge